Thanks so much Charlotte – Blog Award

Charlotte nominated me, thanks, you are a sweetie, and thanks so much for the kind words on your blog.  You are a fab, loving mommy too and your children are absolute angels.


The conditions of receiving this award are:


Thank the person who gave you the award


Reveal 7 random facts about yourself


Choose 5 other people who you believe deserve the award and pass it on




7 Random things about myself:

  1. I collect fairies, love them, and it’s something “magical” in my life
  2. Mayonaise & Mustard both revolts me – can’t eat it at all… can you imagine having to order in a restaurant or getting take-aways, I always get raised eyebrows.
  3. I’m absolutely terrified of blood, needles and such, don’t know how I’m going to handle my rough little boy.
  4. One of my favourite activities is walking on the beach.
  5. I’ve got dead straight hair, wish it were curly.
  6. I can’t pronounce the letter “r”
  7. I love cold, rainy weather.  

I nominate the following fellow bloggers for this award:


  1. Tanya from Mommyhood journey with a Toddler ( – she’s got the most cute toddler boy
  2. Bri from Fleeting Moments ( – she’s such an inspiration and a great mentor in mommyhood
  3. Jess from Simply Blessed & Fabulous ( – I admire this lady’s strength
  4. Jess from Motherhood: Live Well, Laugh Often, Love Much ( – a special friend and a wonderful mommy
  5. Chantal from Our Baby D ( – Another mommy friend with the cutest baby girl.


Roughing it with dad

What is it with boys and playing rough?  This poor mommy’s heart!

Jamie’s newest crave is adrenalin and daddy just loves to oblige… or wait!  I rather think he is the instigator.  Jamie loves riding horsey on mommy’s knee, or dance around like mad around the house, but oh boy when daddy plays with him, his little face lights up and he can’t get enough of dives, bungee jumps off daddy’s shoulders and being thrown up in the air.

An accident can happen so quickly and each and every time I will shout “not so high”, “please be safe”, “dont take your eyes off him”, “enough now!”  

Look at the joy though:

As I said, my poor, poor heart!

1 1 M o n t h s ! !

Today, we are a month away of celebrating our baby boy’s very first birthday. It’s unbelievable, but yet it feels like he’s been part of our lives forever… or at least much longer than the 11 months he is today.


This past month has been WOW to say the very least. We are so proud of our little dude, he has accomplished so much this past month:

  1. On the 28th of May he gave his first few steps, on the day of his Christening a week later he walked another 3 – 4 steps and a week after that he has started walking full-out.
  2. He has learned to “ta” – hand things over when I ask for it. He’ll even pick things up from the floor and walk over to hand it to me when I ask him and point. Clever, clever little punk 🙂
  3. When I call him on his name, even if he is another room, he comes to me, as fast as his little legs could carry him
  4. He started to clap his hands at last! He is so cute while he dances and claps and jives on his music.
  5. He understands so much more, it’s amazing how fast he grasps a concept.
  6. Jamie also started to talk a whole lot more, and a whole lot makes sense, his current favourite word is baba, then he also says mamma, pappa and he took my dad off guard the other day with an “oupa”.   He also says “ka”, still trying to figure out if he wants to say “kat (cat)” or car, but I think it’s kat, because he is totally mesmerized by our kitty. The other adorable thing he says is “E-ko”, meaning Ek kom (I am coming) when I call him.

I am really enjoying this stage my babe is in right now, he is cute as a button and so loveable, I can’t begin to say how many times a day he puts a big, fat smile on my face.   I receive so many impromptu hugs, I just love how he puts his little arms around my neck and just hold me. This little guy is my life.


Happy 11 months, Jamie-Jame.

Mommy & Daddy loves you, we will always love you and we’re oh so proud of our little boy

Keep on rocking this world 🙂

M O N T H L Y  U P D A T E : 

How old is Jamie now?

11 Months!!!


What his favourite things to eat

This month he is still going through his yogurt stage.

Also he loved his chicken & veggie dish and butternut pasta bake

Flings and Marie Biscuits will stay in his favourites list 🙂


What milestones has he reached recently?

The biggest was walking, so proud of my boy


What words does he say regularly?

Mamma, Pappa, Baba (see above)

-- Unrelated to this entry: records of crystals --
- - -
No. 1
Sm3Au2: simulated XRD peak list (Cu Ka), based on a PBE-relaxed structure.
Intensities are scaled so that the largest is 100.

Structure:
```
Sm3Au2
1.0
4.5306 2.6158 5.7869
-4.5306 2.6158 5.7869
0.0000 -5.2315 5.7869
Sm Au
9 6
direct
0.0000 0.0000 0.0000 Sm
0.1699 0.6589 0.4038 Sm
0.2020 0.2020 0.2020 Sm
0.3411 0.5962 0.8301 Sm
0.4038 0.1699 0.6589 Sm
0.5962 0.8301 0.3411 Sm
0.6589 0.4038 0.1699 Sm
0.7980 0.7980 0.7980 Sm
0.8301 0.3411 0.5962 Sm
0.0397 0.4116 0.8330 Au
0.1670 0.9603 0.5884 Au
0.4116 0.8330 0.0397 Au
0.5884 0.1670 0.9603 Au
0.8330 0.0397 0.4116 Au
0.9603 0.5884 0.1670 Au
```

Top 12 peaks for 5 to 70 degrees two-theta, by intensity:
2θ (°), I (rel.)
31.89, 100
36.70, 75
36.86, 66
34.28, 63
30.90, 45
30.58, 43
42.86, 25
63.67, 21
52.23, 20
12.38, 18
41.83, 17
28.10, 17



No. 2
Ga2SiMo2: simulated XRD peak list (Cu Ka), based on a PBE-relaxed structure.
Intensities are scaled so that the largest is 100.

Structure:
```
Ga2SiMo2
1.0
-1.7346 1.7346 6.4523
1.7346 -1.7346 6.4523
1.7346 1.7346 -6.4523
Ga Si Mo
2 1 2
direct
0.2500 0.7500 0.5000 Ga
0.7500 0.2500 0.5000 Ga
0.0000 0.0000 0.0000 Si
0.4064 0.4064 0.0000 Mo
0.5936 0.5936 0.0000 Mo
```

Top 12 peaks for 5 to 70 degrees two-theta, by intensity:
2θ (°), I (rel.)
39.29, 100
26.61, 82
46.51, 64
43.71, 56
52.78, 45
42.01, 29
69.64, 25
60.06, 16
33.18, 11
56.53, 10
13.72, 8
36.63, 6



No. 3
Te3Pd13: simulated XRD peak list (Cu Ka), based on a PBE-relaxed structure.
Intensities are scaled so that the largest is 100.

Structure:
```
Te3Pd13
1.0
0.0000 6.4051 6.4051
6.4051 0.0000 6.4051
6.4051 6.4051 0.0000
Te Pd
6 26
direct
0.0000 0.0000 0.0000 Te
0.0000 0.0000 0.5000 Te
0.0000 0.5000 0.0000 Te
0.3750 0.3750 0.3750 Te
0.5000 0.0000 0.0000 Te
0.6250 0.6250 0.6250 Te
0.0000 0.5000 0.5000 Pd
0.1130 0.1130 0.6370 Pd
0.1130 0.6370 0.1130 Pd
0.1130 0.6370 0.6370 Pd
0.1250 0.1250 0.1250 Pd
0.2597 0.2597 0.2597 Pd
0.2597 0.2597 0.7210 Pd
0.2597 0.7210 0.2597 Pd
0.2790 0.7403 0.7403 Pd
0.3630 0.3630 0.8870 Pd
0.3630 0.8870 0.3630 Pd
0.3630 0.8870 0.8870 Pd
0.5000 0.0000 0.5000 Pd
0.5000 0.5000 0.0000 Pd
0.5000 0.5000 0.5000 Pd
0.6370 0.1130 0.1130 Pd
0.6370 0.1130 0.6370 Pd
0.6370 0.6370 0.1130 Pd
0.7210 0.2597 0.2597 Pd
0.7403 0.2790 0.7403 Pd
0.7403 0.7403 0.2790 Pd
0.7403 0.7403 0.7403 Pd
0.8750 0.8750 0.8750 Pd
0.8870 0.3630 0.3630 Pd
0.8870 0.3630 0.8870 Pd
0.8870 0.8870 0.3630 Pd
```

Top 6 peaks for 5 to 70 degrees two-theta, by intensity:
2θ (°), I (rel.)
39.81, 100
57.56, 16
36.44, 3
55.07, 3
23.03, 1
62.82, 1



Which formula does entry 2 have?
Ga2SiMo2
- - -


How many toofies?

Still 8, that eye tooth is still making its way through


How does he sleep at night?

Still not well, we do a lot of co-sleeping. Slowly but surely starting to do sleep training, the comfort ladder method, but it’s slow going, because this mommy’s a softy when it comes to her boy.


Weight & Length?

Just over 10kg, haven’t measured recently


What has been your highs for the past couple of weeks?

Jamie had a beautiful christening and that’s a big high for sure.

My hubby’s first Father’s Day – we had such a special day together.

My little one holding my hand when we walk together, in his sleep sometimes or when he wants to get my attention, that’s so sweet… I love holding hands with him.


What have been you lows for the past couple of weeks?

Daycare – I have trouble with his caregivers sticking to our routines, they keep trying to force their routines on him and it just doesn’t work like that.

Just as we got better we both got sick … again. I can handle being sick, but I hate it if Jamie isn’t feeling well, I feel so helpless


One cutie-pie thing?

There’s so many, but one of the cutest things recently is he is starting to share his food, when he eats a rice cake or Flings he will offer you a bite or just casually shove it into your mouth – hey sharing is caring 😀


Something Surreal?

Looking at my “baby”, just a few months ago he was a helpless little babe only capable of crying, pooping and drinking milk, now he has developed in this little kid who talks (or tries to), interacts, dances and walks around the house… it’s incredible and I’m amazed by him


Something to look forward to?

A special little boy is turning 1 in a month’s time ~ Whoop Whoop!

In honour of Father's Day

Jamie is incredibly lucky to have such a kick-ass dad and I’m so lucky to such an awesome husband.

We couldn’t ask for a better husband or father, everything he is doing, he is doing for us. He provides for our every need, be it material or emotional. He’s there for us no matter what and he loves us unconditionally…


And we love and adore him too.


Happy First Father’s Day, my love. Please know that Jamie couldn’t ask for a better daddy and that you’re a hero-daddy in his eyes.

I couldn’t have asked for a better partner in crime to share this whole parenthood thing with.


What makes a dad?


God took the strength of a mountain,
The majesty of a tree,
The warmth of a summer sun,
The calm of a quiet sea,

The generous soul of nature,
The comforting arm of night,
The wisdom of the ages,
The power of the eagle’s flight,

The joy of a morning in spring,
The faith of a mustard seed,
The patience of eternity,
The depth of a family need,

Then God combined these qualities,
When there was nothing more to add,
He knew His masterpiece was complete,
And so, He called it … Dad

Watch out Jamie Oliver!!!

We’ve got another (somewhat smaller) Jamie in training over here! This little guy loves being in the kitchen with his mommy, tasting everything, playing around with the pots and pans and watching what I’m doing as I cook and fiddle around in the kitchen.


I wonder if he’ll indulge me and let me teach him how to cook one day. I know we’ll have so much fun baking and cooking together 🙂 (and I know then I’m going to have a very thankful daughter-in-law once day tie-hie-hie)

Lesson Nr 1 – How to handle a pan

Jamie's Christening

We had Jamie’s Christening on Sunday and it was such a special day. It was a small and intimate ceremony and just Jamie’s grandparents and godparents were there with us. We had it in the church’s chapel and the grandmothers both brought him in. The pastor gave us a meaningful message and then said a beautiful prayer and my hubby had to light a candle for Jamie. This candle was given to us so that we can put it on Jamie’s birthday cakes in the future.   The pastor then ended by singing a cute little song to Jamie. Lastly the pastor introduced us as a family and my sister’s boy got to ring the church bell for us. It was truly special and I was so proud of our little family of three.

Afterwards we had cake, snacks & coffee at our house and Jamie was the bell of the ball, enjoying all the attention of his loved ones and had a great time indulging in the snacks and cupcakes as well!


Oh boy and I forgot to say how handsome my little dude looked, too gorgeous for words; I just wanted to kiss him all up!